Wednesday, July 12, 2006

Inserted here: materials data
<<<
Below is an optimized crystal structure of SrNi3Ge2, with properties calculated at the PBE level.

Lattice parameters (Å, degrees): 4.0595 4.0595 14.2162 90.00 90.00 120.00
Last column: nearest neighbours and their distance in Å.
Fractional positions:
Ge 0.6667 0.3333 0.0965  4 Ni 2.37-2.39
Ge 0.3333 0.6667 0.5965  4 Ni 2.37-2.39
Ge 0.3333 0.6667 0.9035  4 Ni 2.37-2.39
Ge 0.6667 0.3333 0.4035  4 Ni 2.37-2.39
Ni 0.6667 0.3333 0.5716  4 Ge 2.37-2.39, 3 Ni 2.56
Ni 0.0000 0.0000 0.0000  6 Ni 2.56, 6 Ge 2.72
Ni 0.6667 0.3333 0.9284  4 Ge 2.37-2.39, 3 Ni 2.56
Ni 0.3333 0.6667 0.4284  4 Ge 2.37-2.39, 3 Ni 2.56
Ni 0.0000 0.0000 0.5000  6 Ni 2.56, 6 Ge 2.72
Ni 0.3333 0.6667 0.0716  4 Ge 2.37-2.39, 3 Ni 2.56
Sr 0.0000 0.0000 0.2500  6 Ge 3.20, 8 Ni 3.45-3.55
Sr 0.0000 0.0000 0.7500  6 Ge 3.20, 8 Ni 3.45-3.55

Calculated values
* uncorrected energy: -5.159 eV/atom
* space-group type: P6_3/mmc, No. 194

***

Below is an optimized crystal structure of BaPrO3, with properties calculated at the PBE level.

Lattice parameters (Å, degrees): 4.5905 4.5905 4.5905 90.00 90.00 90.00
Last column: nearest neighbours and their distance in Å.
Fractional positions:
Ba 0.5000 0.5000 0.5000  12 O 3.25
O 0.0000 0.5000 0.0000  2 Pr 2.30
O 0.0000 0.0000 0.5000  2 Pr 2.30
O 0.5000 0.0000 0.0000  2 Pr 2.30
Pr 0.0000 0.0000 0.0000  6 O 2.30

Calculated values
* magnetization: 1.00 μB/cell
* uncorrected energy: -6.791 eV/atom
* space-group type: Pm-3m, No. 221

***

Below is an optimized crystal structure of TmPu3, with properties calculated at the PBE level.

Lattice parameters (Å, degrees): 5.8656 5.8656 5.8656 131.57 131.57 70.91
Last column: nearest neighbours and their distance in Å.
Fractional positions:
Pu 0.5000 0.5000 0.0000  8 Pu 3.39, 4 Tm 3.40
Pu 0.7500 0.2500 0.5000  8 Pu 3.39-3.40, 4 Tm 3.39
Pu 0.2500 0.7500 0.5000  8 Pu 3.39-3.40, 4 Tm 3.39
Tm 0.0000 0.0000 0.0000  12 Pu 3.39-3.40

Calculated values
* ΔE to the lowest computed polymorph: 0 meV/atom
* magnetization: 17.82 μB/cell
* uncorrected energy: -11.645 eV/atom
* space-group type: I4/mmm, No. 139

***

Below is an optimized crystal structure of Li2CuSiO4, with properties calculated at the PBE level.

Lattice parameters (Å, degrees): 5.2726 5.2726 6.3029 90.00 90.00 93.70
Last column: nearest neighbours and their distance in Å.
Fractional positions:
O 0.1979 0.1954 0.2147  1 Si 1.65
O 0.3014 0.6389 0.9992  1 Si 1.65
O 0.8046 0.8021 0.2853  1 Si 1.65
O 0.6986 0.3611 0.4992  1 Si 1.65
O 0.3611 0.6986 0.5008  1 Si 1.65
O 0.1954 0.1979 0.7853  1 Si 1.65
O 0.8021 0.8046 0.7147  1 Si 1.65
O 0.6389 0.3014 0.0008  1 Si 1.65
Li 0.6898 0.6898 0.0000  4 O 1.98-2.05
Li 0.1840 0.8160 0.2500  4 O 1.96-2.01
Li 0.8160 0.1840 0.7500  4 O 1.96-2.01
Li 0.3102 0.3102 0.5000  4 O 1.98-2.05
Si 0.3279 0.3279 0.0000  4 O 1.65
Si 0.6721 0.6721 0.5000  4 O 1.65
Cu 0.1827 0.8173 0.7500  4 O 1.95-2.02
Cu 0.8173 0.1827 0.2500  4 O 1.95-2.02

Calculated values
* ΔE to the lowest computed polymorph: 30 meV/atom
* magnetization: 2.00 μB/cell
>>>
The piece goes on

Those funny orange icons: The RSS Tutorial

[Crystal structures from another source follow]
'''
30
Lattice="4.874 -2.772 0.000 4.874 2.772 0.000 0.000 0.000 10.917" Properties=species:S:1:pos:R:3 comment="Li8FeO6 (PBE+U, relaxed)" relative_energy_mev_per_atom=0.0 energy_ev_per_atom=-5.1057 pbc="T T T"
Li 2.973 1.079 10.916
Li 4.874 2.143 5.458
Li 1.624 0.017 2.386
Li 1.624 -0.017 7.845
Li 4.874 1.721 9.386
Li 3.360 0.826 3.910
Li 3.360 -0.826 9.368
Li 2.973 -1.079 5.457
Li 6.775 1.079 10.916
Li 6.388 0.826 3.910
Li 6.388 -0.826 9.368
Li 4.874 -1.721 3.927
Li 8.124 0.017 2.386
Li 8.124 -0.017 7.845
Li 4.874 -2.143 0.000
Li 6.775 -1.079 5.457
Fe 4.874 0.017 1.457
Fe 4.874 -0.017 6.915
O 1.618 0.005 9.946
O 1.618 -0.005 4.488
O 4.874 1.741 7.425
O 3.304 0.837 1.936
O 3.304 -0.837 7.394
O 4.874 0.021 10.453
O 4.874 -0.021 4.995
O 6.445 0.837 1.936
O 6.445 -0.837 7.394
O 4.874 -1.741 1.966
O 8.131 0.005 9.946
O 8.131 -0.005 4.488

=====

4
Lattice="1.442 0.832 4.770 -1.442 0.832 4.770 0.000 -1.665 4.770" Properties=species:S:1:pos:R:3 comment="LiFeO2 (PBE+U, relaxed)" energy_ev_per_atom=-6.0313 pbc="T T T"
Li 0.000 0.000 0.000
Fe 0.000 0.000 7.155
O 0.000 0.000 3.441
O 0.000 0.000 10.870

=====

40
Lattice="5.027 0.000 0.000 -2.062 4.634 0.000 -0.844 -1.668 18.433" Properties=species:S:1:pos:R:3 comment="Li3Fe5O12 (PBE+U, relaxed)" relative_energy_mev_per_atom=0.0 energy_ev_per_atom=-5.8513 pbc="T T T"
Li 0.000 0.000 0.000
Li -2.397 3.743 9.210
Li -0.656 0.908 11.720
Li 0.422 3.363 0.333
Li 0.043 2.581 9.538
Li 1.903 0.485 2.618
Fe -0.759 3.552 5.002
Fe -1.166 2.784 14.206
Fe 0.686 0.859 7.341
Fe 0.245 0.078 16.543
Fe 2.537 0.874 9.551
Fe 2.966 1.772 0.325
Fe 1.854 2.643 11.812
Fe 2.278 3.498 2.582
Fe 3.351 -0.200 14.215
Fe 3.799 0.634 5.006
O -0.179 -0.529 6.226
O -0.589 -1.344 15.448
O -1.719 2.315 10.577
O -1.350 3.280 1.340
O -1.323 0.108 17.786
O -0.848 0.915 8.521
O -0.201 -0.658 12.936
O 0.297 0.109 3.708
O -0.698 1.170 15.233
O -0.233 1.979 6.009
O 1.500 -0.373 8.587
O 1.053 -1.144 17.772
O 1.043 1.324 10.867
O 1.514 2.114 1.636
O 2.131 0.337 5.979
O 1.721 -0.410 15.165
O 0.854 3.883 3.872
O 0.466 2.974 13.152
O 1.191 1.316 17.544
O 1.653 2.110 8.331
O 3.497 0.251 1.375
O 3.309 -0.508 10.597
O 3.282 2.203 4.011
O 2.980 1.415 13.150

=====

25
Lattice="10.142 0.000 0.000 0.000 2.969 0.000 -0.013 0.000 10.228" Properties=species:S:1:pos:R:3 comment="LiFe8O16 (PBE+U, relaxed)" relative_energy_mev_per_atom=0.0 energy_ev_per_atom=-6.1376 pbc="T T T"
Li 0.000 0.000 0.000
Fe 1.047 0.000 4.746
Fe 1.263 1.485 7.960
Fe 2.904 0.000 10.056
Fe 3.079 1.485 3.055
Fe 6.130 1.485 9.892
Fe 6.295 0.000 2.874
Fe 7.974 1.485 4.922
Fe 8.141 0.000 8.136
O 1.085 1.485 3.471
O 1.174 1.485 6.013
O 1.449 1.485 10.019
O 2.501 0.000 8.060
O 2.934 0.000 1.799
O 3.043 0.000 4.311
O 4.147 1.485 9.923
O 5.041 1.485 3.001
O 6.218 0.000 8.625
O 6.302 0.000 0.918
O 6.722 0.000 4.870
O 7.563 1.485 2.921
O 8.019 1.485 6.882
O 8.244 1.485 9.469
O 9.228 0.000 4.781
O 10.118 0.000 8.167

----------

1.
VASP calculation (r2SCAN) on a relaxed Ba4Cu3Si20 crystal.

## Properties
'''

A few people have asked me what those orange little broadcast icon thingies on the top right of this site are. And since I am an interaction designer by trade, I feel that I should explain them to you, so that you can make the most out of your web experience.

So what are the icons?
Those orange icons represent my RSS feed. Depending on who you ask, RSS stands for different things. But since this is my blog, I say it stands for Really Simple Syndication. You might also see other icons that represent an RSS feed that look like these:

But not on my site. Here you just get the little orange broadcast icon like this one:

It is succinct, and the most visually appealing of all the icons that represent an RSS feed.

The truth of the matter is that they are all very similar, and basically all represent "Hey, if you click me, you're going to subscribe to this site's RSS feed. Sweet!"

What does RSS do?
RSS is useful for several things. What RSS does for bloggers, news outlets, and other folks and organizations that publish content to the web is allow a very simple way to syndicate the things that they publish.

Why would they want to syndicate their stuff? The same reason radio announcers like Howard Stern or Rush Limbaugh syndicate their radio program to stations all over the country: so that more people can easily hear what they have to say. Well, I guess Howard Stern no longer syndicates his show since he moved to Sirius, but you catch my drift.

How can I use RSS to read blogs, news, etc.?
If you see that list of bike bloggers on my right hand column, I read them everyday, but I never actually go to those web sites. I subscribed to those sites' RSS feeds, and I use my RSS reader to read them. My RSS reader is really similar to an email application like Outlook, but it pulls down RSS feeds from the internet instead of email. This makes my life a bunch easier, because all that interesting (or not-so-interesting) content comes to me, and I don't have to do anything to get it once I subscribe! Here are some screenshots of the RSS reader I use for my Mac.

Record 1
! PBE AgWC9S4N3, relaxed; values from VASP
! SG: P2_1, No. 4
! Total magnetization in μB per formula unit: 1.3
! Calculated density in g cm⁻³: 1.966
! Energy above the lowest structure with this stoichiometry in eV/atom: 0.4528
! E_form in eV per atom: 1.198
&SYSTEM
  ibrav = 0, nat = 36, ntyp = 5
/
ATOMIC_SPECIES
C 12.01 C.upf
N 14.01 N.upf
S 32.06 S.upf
W 183.84 W.upf
Ag 107.87 Ag.upf
CELL_PARAMETERS angstrom
-6.2894 -3.4127 -1.3911
2.8936 -3.4221 -4.6870
5.5000 -15.2160 12.4626
ATOMIC_POSITIONS crystal
C 0.0341 0.1595 0.1582
C 0.7111 0.0276 0.3466
C 0.6668 0.1226 0.4528
C 0.0889 0.9922 0.5993
C 0.1326 0.9839 0.9395
C 0.1668 0.8774 0.5472
C 0.8919 0.9437 0.3721
C 0.2120 0.3443 0.4047
C 0.8924 0.1755 0.1244
C 0.5889 0.0078 0.4007
C 0.6326 0.0161 0.0605
C 0.2111 0.9724 0.6534
C 0.0669 0.7808 0.9260
C 0.5341 0.8405 0.8418
C 0.3919 0.0563 0.6279
C 0.7120 0.6557 0.5953
C 0.5669 0.2192 0.0740
C 0.3924 0.8245 0.8756
N 0.2392 0.8474 0.9058
N 0.2000 0.2608 0.4575
N 0.8143 0.0370 0.4219
N 0.7000 0.7392 0.5425
N 0.7392 0.1526 0.0942
N 0.3143 0.9630 0.5781
S 0.2237 0.1285 0.2009
S 0.4656 0.3769 0.7635
S 0.7237 0.8715 0.7991
S 0.9671 0.3499 0.7592
S 0.7292 0.3130 0.9100
S 0.4671 0.6501 0.2408
S 0.2292 0.6870 0.0900
S 0.9656 0.6231 0.2365
W 0.7156 0.2389 0.8095
W 0.2156 0.7611 0.1905
Ag 0.7146 0.4937 0.6860
Ag 0.2146 0.5063 0.3140

=====

Record 2
! PBE NaAgC2O4, relaxed; values from VASP
! SG: P2_1, No. 4
! Total magnetization in μB per formula unit: 0.0
! Calculated density in g cm⁻³: 3.546
! E_form in eV per atom: -1.474
&SYSTEM
  ibrav = 0, nat = 16, ntyp = 4
/
ATOMIC_SPECIES
Ag 107.87 Ag.upf
O 16.00 O.upf
C 12.01 C.upf
Na 22.99 Na.upf
CELL_PARAMETERS angstrom
-0.7409 -1.9992 4.7125
-2.2947 -2.4460 -1.3984
7.9443 -7.2691 -1.8348
ATOMIC_POSITIONS crystal
Ag 0.0511 0.3964 0.4197
Ag 0.5511 0.6036 0.5803
O 0.7263 0.7268 0.8110
O 0.4219 0.9561 0.4036
O 0.2589 0.2555 0.7046
O 0.9219 0.0439 0.5964
O 0.2263 0.2732 0.1890
O 0.6043 0.1577 0.0945
O 0.7589 0.7445 0.2954
O 0.1043 0.8423 0.9055
C 0.5538 0.9298 0.3057
C 0.9520 0.8592 0.8140
C 0.4520 0.1408 0.1860
C 0.0538 0.0702 0.6943
Na 0.4317 0.3044 0.8991
Na 0.9317 0.6956 0.1009

=====

Record 3
! PBE NaAgC2O4, relaxed; values from VASP
! SG: P-1, No. 2
! Total magnetization in μB per formula unit: 0.0
! Calculated density in g cm⁻³: 3.494
! E_form in eV per atom: -1.474
&SYSTEM
  ibrav = 0, nat = 16, ntyp = 4
/
ATOMIC_SPECIES
O 16.00 O.upf
C 12.01 C.upf
Ag 107.87 Ag.upf
Na 22.99 Na.upf
CELL_PARAMETERS angstrom
3.5521 0.0000 0.0000
0.1518 5.3112 0.0000
1.0318 0.2878 11.0269
ATOMIC_POSITIONS crystal
O 0.7133 0.7660 0.5415
O 0.7640 0.7306 0.0632
O 0.2867 0.2340 0.4585
O 0.0897 0.5547 0.3406
O 0.9103 0.4453 0.6594
O 0.2360 0.2694 0.9368
O 0.1697 0.8884 0.8558
O 0.8303 0.1116 0.1442
C 0.1071 0.4399 0.4422
C 0.8822 0.9531 0.0597
C 0.1178 0.0469 0.9403
C 0.8929 0.5601 0.5578
Ag 0.6596 0.9306 0.3372
Ag 0.3404 0.0694 0.6628

What RSS readers are out there for me to try?
As you might guess, there are quite a few companies built around providing products and services for RSS consumption and production. I do all my work and play on an Apple Powerbook, and I use NetNewsWire. For PC users, I would recommend giving FeedDemon a try. Or if you are inclined to use free web-based products, NewsGator is a good way read and manage your RSS subscriptions online. It also synchs reasonably well with the aforementioned desktop-based products. The last one I should mention that you can use is My Yahoo!. If you don't want to try any of these, you can go here to see a much larger selection from which to choose.

In closing
I hope that this little tutorial will enhance your internet experience. RSS is a super time saver for the daily browsing that you might currently do. It also can lead to information obesity if you aren't careful - because it is so easy to use! And we all know that information obesity leads to less cycling.

RSS is as easy as email, and ten times as fast as bothering to go to all those web sites everyday. Happy RSS'ing!

...and be sure to subscribe to Chico Gino!


Unknown said...

Very informative and well put.

On that same note, I was checking out this site a couple days ago and thought your readers might also enjoy it.

I myself, use MyYahoo and have since 1997, great stuff!

Jeff O. said...

Won't let me do this at work. Will have to try at home. Thanks for the tutorial.

Anonymous said...

This cycle is very great Will have to try at hom thank for the tutorial.